According to The World Health Organization (WHO), more than 700,000 people die by suicide every year, and that accounted for 1.3 per cent of all deaths in 2019. Among the countries of the Organization for Economic Cooperation and Development (OECD), South Korea had the highest suicide rate for the period 2003 to 2019 (24.6 per 100,000 persons). As a matter of fact, suicide is the fifth leading cause of death in South Korea particularly in the younger population aged 10–59 years and the first and second leading cause of death in people aged 10–39 years and aged 40–59 years, respectively. Meanwhile, in Malaysia, 683 suicide cases were reported from January to July 2021, an increase of 143 per cent compared to the same period of the previous year. Suicide has, in fact, become a public health priority, and various factors that may contribute towards it have to be examined.
Often, suicidal thoughts are triggered by the feeling of hopelessness in coping with an overwhelming life situation such as the loss of a loved one, a break up, or a financial or legal problem. In the midst of crisis, one may mistakenly believe that suicide is the only way out. Other factors that may contribute to suicide are like substance abuse, mental disorders and chronic disease. One who is so consumed by suicidal thoughts can not function in daily life, while those left behind after a suicide often have to deal with grief, anger, depression and guilt.
~~~
This entry pairs a crystal structure of BaCuHF6 with its calculated powder X-ray diffraction pattern. Radiation: Cu Kα, 1.54184 Å. Structure: a GGA-PBE-relaxed structure.
Lines closer than 0.1° are merged.

Crystal structure
a = 4.6776 Å, b = 5.0689 Å, c = 5.7785 Å
α = 95.03°, β = 110.81°, γ = 92.03°
Space group P-1 (No. 2)
Symmetry-distinct sites (fractional):
Ba (0.0000, 0.0000, 0.0000) x1
Cu (0.5000, 0.5000, 0.5000) x1
H (0.5000, 0.5000, 0.0000) x1
F (0.1495, 0.5835, 0.2734) x2
F (0.3089, 0.1907, 0.5034) x2
F (0.4680, 0.7061, 0.9272) x2

Principal peaks in the range 10 to 80 degrees two-theta, by angle:
2θ = 21.12°, intensity 100, hkl 1 0 -1
2θ = 22.87°, intensity 62, hkl 0 1 -1
2θ = 25.51°, intensity 51, hkl 0 1 1
2θ = 26.05°, intensity 57, hkl 1 -1 0
2θ = 28.01°, intensity 38, hkl 1 1 0
2θ = 33.37°, intensity 40, hkl 0 0 2
2θ = 38.02°, intensity 49, hkl -1 1 2
2θ = 41.52°, intensity 34, hkl 1 2 -1
2θ = 42.14°, intensity 27, hkl -2 1 1
2θ = 55.62°, intensity 24, hkl 2 1 -3



This entry pairs a crystal structure of BaCuHgF6 with its calculated powder X-ray diffraction pattern. Radiation: Cu Kα, 1.54184 Å. Structure: a GGA-PBE-relaxed structure.
Lines closer than 0.1° are merged.

Crystal structure
a = 6.1276 Å, b = 9.2266 Å, c = 5.7420 Å
α = 90.00°, β = 95.39°, γ = 90.00°
Space group C2 (No. 5)
Symmetry-distinct sites (fractional):
Ba (0.0000, 0.0000, 0.0000) x2
Cu (0.0000, 0.3103, 0.5000) x2
Hg (0.0000, 0.6722, 0.5000) x2
F (0.1573, 0.4583, 0.6833) x4
F (0.1610, 0.1643, 0.6841) x4
F (0.2053, 0.7871, 0.7823) x4

Principal peaks in the range 10 to 80 degrees two-theta, by angle:
2θ = 15.50°, intensity 39, hkl 0 0 1
2θ = 22.46°, intensity 100, hkl 1 1 -1
2θ = 24.31°, intensity 76, hkl 1 1 1
2θ = 24.80°, intensity 95, hkl 0 2 1
2θ = 29.28°, intensity 37, hkl 2 0 0
2θ = 32.61°, intensity 61, hkl 1 3 0
2θ = 37.55°, intensity 37, hkl 2 2 -1
2θ = 41.21°, intensity 32, hkl 2 0 -2
2θ = 44.79°, intensity 32, hkl 1 3 -2
2θ = 46.83°, intensity 37, hkl 1 3 2



This entry pairs a crystal structure of BaLi4Cu3F12 with its calculated powder X-ray diffraction pattern. Radiation: Cu Kα, 1.54184 Å. Structure: a GGA-PBE-relaxed structure.
Lines closer than 0.1° are merged.

Crystal structure
a = 7.6801 Å, b = 7.6801 Å, c = 7.6801 Å
α = 90.00°, β = 90.00°, γ = 90.00°
Space group Im-3 (No. 204)
Symmetry-distinct sites (fractional):
Ba (0.0000, 0.0000, 0.0000) x2
Li (0.2500, 0.2500, 0.2500) x8
Cu (0.0000, 0.0000, 0.5000) x6
F (0.0000, 0.3168, 0.1719) x24

Principal peaks in the range 10 to 80 degrees two-theta, by angle:
2θ = 23.16°, intensity 100, hkl 2 0 0
2θ = 32.99°, intensity 77, hkl 2 2 0
2θ = 37.01°, intensity 28, hkl 3 0 1
2θ = 40.70°, intensity 55, hkl 2 2 2
2θ = 44.12°, intensity 22, hkl 3 1 2
2θ = 47.35°, intensity 25, hkl 4 0 0
2θ = 53.35°, intensity 32, hkl 4 0 2
2θ = 58.91°, intensity 53, hkl 4 2 2
2θ = 74.07°, intensity 28, hkl 6 0 0
2θ = 78.82°, intensity 16, hkl 6 2 0
~~~
To prevent suicide, suicidal thoughts must be stopped, and that means getting right treatment for the underlying causes. The right treatment can help a person regain confidence and hope, and according to many studies, religious beliefs and involvement in religious practices often lead to less depressive symptoms and suicidal thoughts. The officially reported cases of suicide death in Muslim countries is lower than in non-Muslim countries, and this is perhaps due to strong condemnation of suicide in Islam. In fact, Islam unequivocally prohibits suicide, which is considered a grave sin. So, for a true Muslim, suicide will never be considered as a way out from any problem. A true Muslim must not lose hope in Divine Mercy because regardless of his situation, he is certain that life in this temporal world is subject to tests and tribulations, whereas the true life that should be his ultimate aim is the eternal life in the Hereafter.
But belief in God and in the eternal life is completely antithetical to what modern secular worldview is advocating. The only thing that matters to a secular person is this world and life in it. Hence, one can only put hope in this worldly life because there is only this world and this life. If that is true, there is no reason to continue living when one perceives there is no more hope for ever achieving success and happiness in this world, and suicide then becomes a logical option. Hence, the problem of suicide is basically rooted in the person’s worldview, that is, how he perceives his existence and the purpose of his life. If he denies God, the soul and afterlife, his only hope for happiness is the here and now. But, not everybody is fortunate enough to enjoy the life of ease and luxury, whereas others have to endure poverty and great suffering. Such is exactly the reason why some people question and doubt the existence of God.
Nietzsche believes that it is actually suffering that causes hatred towards this world and inspires imagination of a more valuable and desirable world in the Hereafter. Christianity, according to him, arises from the fear of suffering and based on that, it builds its view of morality. This is, to him, a sickness and its cure is to surrender any moral justification of life. To live, according to Nietzsche, thus means to embrace evil and suffering.
Nietzsche, no doubt, was trying to answer the fundamental problem of life and death. In his analysis, he has rejected various answers offered by world religions. Having rejected religion, his only advice to those who want to continue living this “meaningless” and “purposeless” life is to have courage in the face of the chaos of existence. Otherwise, death is the only answer. With such a bleak view of life, no wonder suicide is so common today.